== Data ==
(1)
This record from the Alexandria database describes a geometry-optimized Nd8Ni3CI4 structure. The functional is PBE-GGA.

a = 8.181 Å, b = 9.271 Å, c = 8.192 Å
α = 116.26°, β = 119.96°, γ = 90.00°
Element x y z (fractional)
Nd (0.218, 0.678, 0.961)
Nd (0.728, 0.683, 0.456)
Nd (0.743, 0.678, 0.961)
Nd (0.218, 0.678, 0.436)
Nd (0.782, 0.322, 0.564)
Nd (0.272, 0.317, 0.544)
Nd (0.782, 0.322, 0.039)
Nd (0.257, 0.322, 0.039)
I (0.000, 0.000, 0.000)
I (0.000, 0.000, 0.500)
I (0.500, 0.000, 0.500)
I (0.500, 0.000, 0.000)
Ni (0.500, 0.500, 0.500)
Ni (0.500, 0.500, 0.000)
Ni (0.000, 0.500, 0.500)
C (0.000, 0.500, 0.000)

Properties
Crystal system = monoclinic
SG = C2/m
Energy = -5.0576 eV/atom
Raw formation energy = -60.4 kJ/mol of atoms
Total magnetization = 0.00 μB per atom

---

(2)
This record from the Alexandria database describes a geometry-optimized Ti2CdH structure. The functional is PBE-GGA.

a = 4.463 Å, b = 4.463 Å, c = 4.463 Å
α = 60.00°, β = 60.00°, γ = 60.00°
Element x y z (fractional)
Cd (0.500, 0.500, 0.500)
Ti (0.750, 0.750, 0.750)
Ti (0.250, 0.250, 0.250)
H (0.000, 0.000, 0.000)

Properties
Crystal system = cubic
SG = Fm-3m
Distance to the lowest polymorph of the same formula = 2.704 eV per formula unit
Energy = -4.4528 eV/atom
Total magnetization = 0.00 μB per atom

* * * * *

Entry 1:
Ce4Ge2Br5 | PBE | relaxed

Geometry as CIF:
```
data_Ce4Ge2Br5
_chemical_formula_sum 'Ce8 Ge4 Br10'
_space_group_name_H-M_alt 'C 1 2/m 1'
_space_group_IT_number 12
_cell_length_a 18.6946
_cell_length_b 5.8652
_cell_length_c 6.0812
_cell_angle_alpha 90.00
_cell_angle_beta 105.70
_cell_angle_gamma 90.00
loop_
_space_group_symop_operation_xyz
'x,y,z'
'-x,-y,-z'
'-x,y,-z'
'x,-y,z'
'x+1/2,y+1/2,z'
'-x+1/2,-y+1/2,-z'
'-x+1/2,y+1/2,-z'
'x+1/2,-y+1/2,z'
loop_
_atom_site_label
_atom_site_type_symbol
_atom_site_fract_x
_atom_site_fract_y
_atom_site_fract_z
Ce1 Ce 0.0908 0.0000 0.2015
Ce2 Ce 0.2280 0.0000 0.7173
Ge1 Ge 0.0573 0.0000 0.6684
Br1 Br 0.0000 0.5000 0.5000
Br2 Br 0.1091 0.5000 0.1043
Br3 Br 0.2357 0.5000 0.7463
```

Entry 2:
Ce4Ge3Br | PBE | relaxed

Geometry as CIF:
```
data_Ce4Ge3Br
_chemical_formula_sum 'Ce8 Ge6 Br2'
_space_group_name_H-M_alt 'C m m m'
_space_group_IT_number 65
_space_group_name_Hall '-C 2 2'
_cell_length_a 8.4721
_cell_length_b 12.0099
_cell_length_c 4.2713
_cell_angle_alpha 90.00
_cell_angle_beta 90.00
_cell_angle_gamma 90.00
loop_
_atom_site_label
_atom_site_type_symbol
_atom_site_fract_x
_atom_site_fract_y
_atom_site_fract_z
Ce1 Ce 0.0000 0.2456 0.0000
Ce2 Ce 0.2390 0.0000 0.5000
Ge1 Ge 0.0000 0.0000 0.0000
Ge2 Ge 0.2500 0.2500 0.5000
Br1 Br 0.0000 0.5000 0.0000
```

Entry 3:
# Ce4Ge2Br3, relaxed, DFT PBE
data_Ce4Ge2Br3
_chemical_formula_sum 'Ce8 Ge4 Br6'
_space_group_name_H-M_alt 'C 1 2/m 1'
_space_group_IT_number 12
_cell_length_a 10.8286
_cell_length_b 4.3718
_cell_length_c 10.5315
_cell_angle_alpha 90.00
_cell_angle_beta 91.37
_cell_angle_gamma 90.00
loop_
_space_group_symop_operation_xyz
'x,y,z'
'-x,-y,-z'
'-x,y,-z'
'x,-y,z'
'x+1/2,y+1/2,z'
'-x+1/2,-y+1/2,-z'
'-x+1/2,y+1/2,-z'
'x+1/2,-y+1/2,z'
loop_
_atom_site_label
_atom_site_type_symbol
_atom_site_fract_x
_atom_site_fract_y
_atom_site_fract_z
Ce1 Ce 0.0851 0.0000 0.1539
Ce2 Ce 0.1394 0.5000 0.6177
Ge1 Ge 0.1777 0.5000 0.3176
Br1 Br 0.0000 0.0000 0.5000
Br2 Br 0.1328 0.5000 0.9196
# Energy relative to the lowest polymorph listed for this composition, kJ/mol of formula units: 242

Entry 4:
# CeGe2Br8, relaxed, DFT PBE
data_CeGe2Br8
_chemical_formula_sum 'Ce2 Ge4 Br16'
_space_group_name_H-M_alt 'C 1 2/m 1'
_space_group_IT_number 12
_cell_length_a 14.1535
_cell_length_b 7.8193
_cell_length_c 7.9518
_cell_angle_alpha 90.00
_cell_angle_beta 90.68
_cell_angle_gamma 90.00
loop_
_space_group_symop_operation_xyz
'x,y,z'
'-x,-y,-z'
'-x,y,-z'
'x,-y,z'
'x+1/2,y+1/2,z'
'-x+1/2,-y+1/2,-z'
'-x+1/2,y+1/2,-z'
'x+1/2,-y+1/2,z'
loop_
_atom_site_label
_atom_site_type_symbol
_atom_site_fract_x
_atom_site_fract_y
_atom_site_fract_z
Ce1 Ce 0.0000 0.0000 0.0000

== Activity ==
Retype the contents further up from the first line to the one with "Ce4Ge2Br3, relaxed," without additions.

== Done ==
(1)
This record from the Alexandria database describes a geometry-optimized Nd8Ni3CI4 structure. The functional is PBE-GGA.

a = 8.181 Å, b = 9.271 Å, c = 8.192 Å
α = 116.26°, β = 119.96°, γ = 90.00°
Element x y z (fractional)
Nd (0.218, 0.678, 0.961)
Nd (0.728, 0.683, 0.456)
Nd (0.743, 0.678, 0.961)
Nd (0.218, 0.678, 0.436)
Nd (0.782, 0.322, 0.564)
Nd (0.272, 0.317, 0.544)
Nd (0.782, 0.322, 0.039)
Nd (0.257, 0.322, 0.039)
I (0.000, 0.000, 0.000)
I (0.000, 0.000, 0.500)
I (0.500, 0.000, 0.500)
I (0.500, 0.000, 0.000)
Ni (0.500, 0.500, 0.500)
Ni (0.500, 0.500, 0.000)
Ni (0.000, 0.500, 0.500)
C (0.000, 0.500, 0.000)

Properties
Crystal system = monoclinic
SG = C2/m
Energy = -5.0576 eV/atom
Raw formation energy = -60.4 kJ/mol of atoms
Total magnetization = 0.00 μB per atom

---

(2)
This record from the Alexandria database describes a geometry-optimized Ti2CdH structure. The functional is PBE-GGA.

a = 4.463 Å, b = 4.463 Å, c = 4.463 Å
α = 60.00°, β = 60.00°, γ = 60.00°
Element x y z (fractional)
Cd (0.500, 0.500, 0.500)
Ti (0.750, 0.750, 0.750)
Ti (0.250, 0.250, 0.250)
H (0.000, 0.000, 0.000)

Properties
Crystal system = cubic
SG = Fm-3m
Distance to the lowest polymorph of the same formula = 2.704 eV per formula unit
Energy = -4.4528 eV/atom
Total magnetization = 0.00 μB per atom

* * * * *

Entry 1:
Ce4Ge2Br5 | PBE | relaxed

Geometry as CIF:
```
data_Ce4Ge2Br5
_chemical_formula_sum 'Ce8 Ge4 Br10'
_space_group_name_H-M_alt 'C 1 2/m 1'
_space_group_IT_number 12
_cell_length_a 18.6946
_cell_length_b 5.8652
_cell_length_c 6.0812
_cell_angle_alpha 90.00
_cell_angle_beta 105.70
_cell_angle_gamma 90.00
loop_
_space_group_symop_operation_xyz
'x,y,z'
'-x,-y,-z'
'-x,y,-z'
'x,-y,z'
'x+1/2,y+1/2,z'
'-x+1/2,-y+1/2,-z'
'-x+1/2,y+1/2,-z'
'x+1/2,-y+1/2,z'
loop_
_atom_site_label
_atom_site_type_symbol
_atom_site_fract_x
_atom_site_fract_y
_atom_site_fract_z
Ce1 Ce 0.0908 0.0000 0.2015
Ce2 Ce 0.2280 0.0000 0.7173
Ge1 Ge 0.0573 0.0000 0.6684
Br1 Br 0.0000 0.5000 0.5000
Br2 Br 0.1091 0.5000 0.1043
Br3 Br 0.2357 0.5000 0.7463
```

Entry 2:
Ce4Ge3Br | PBE | relaxed

Geometry as CIF:
```
data_Ce4Ge3Br
_chemical_formula_sum 'Ce8 Ge6 Br2'
_space_group_name_H-M_alt 'C m m m'
_space_group_IT_number 65
_space_group_name_Hall '-C 2 2'
_cell_length_a 8.4721
_cell_length_b 12.0099
_cell_length_c 4.2713
_cell_angle_alpha 90.00
_cell_angle_beta 90.00
_cell_angle_gamma 90.00
loop_
_atom_site_label
_atom_site_type_symbol
_atom_site_fract_x
_atom_site_fract_y
_atom_site_fract_z
Ce1 Ce 0.0000 0.2456 0.0000
Ce2 Ce 0.2390 0.0000 0.5000
Ge1 Ge 0.0000 0.0000 0.0000
Ge2 Ge 0.2500 0.2500 0.5000
Br1 Br 0.0000 0.5000 0.0000
```

Entry 3:
# Ce4Ge2Br3, relaxed, DFT PBE